**Request:**
It remains to set down only the lines below with the word "Pr5P12Ru19" in them.

**Entries:**
____________
! PrP2Ru2, relaxed, DFT meta-GGA r2SCAN; values from VASP
! ΔE_f   -1.099 eV per atom
! V   17.3 A^3/atom
! Final energy   -103.755 eV for the cell shown
! Space group   No. 139
&SYSTEM
  ibrav = 0, nat = 5, ntyp = 3
/
ATOMIC_SPECIES
Pr 140.91 Pr.upf
P 30.97 P.upf
Ru 101.07 Ru.upf
ATOMIC_POSITIONS crystal
Pr 0.0000 0.0000 0.0000
P 0.3576 0.3576 0.7152
P 0.6424 0.6424 0.2848
Ru 0.2500 0.7500 0.5000
Ru 0.7500 0.2500 0.5000
CELL_PARAMETERS angstrom
3.7633 0.0000 -1.4153
-0.5322 3.7255 -1.4153
0.1318 0.1520 6.0617

=====

! Pr5P12Ru19, relaxed, DFT meta-GGA r2SCAN; values from VASP
! ΔE_f   -0.876 eV per atom
! V   15.3 A^3/atom
! Final energy   -769.659 eV for the cell shown
! Space group   No. 189
&SYSTEM
  ibrav = 0, nat = 36, ntyp = 3
/
ATOMIC_SPECIES
Pr 140.91 Pr.upf
P 30.97 P.upf
Ru 101.07 Ru.upf
ATOMIC_POSITIONS crystal
Pr 0.8159 0.0000 0.5000
Pr 0.0000 0.8159 0.5000
Pr 0.1841 0.1841 0.5000
Pr 0.3333 0.6667 0.0000
Pr 0.6667 0.3333 0.0000
P 0.1887 0.0000 0.0000
P 0.0000 0.1887 0.0000
P 0.8113 0.8113 0.0000
P 0.5249 0.6963 0.5000
P 0.3037 0.8286 0.5000
P 0.1714 0.4751 0.5000
P 0.4751 0.1714 0.5000
P 0.6963 0.5249 0.5000
P 0.8286 0.3037 0.5000
P 0.6243 0.0000 0.0000
P 0.0000 0.6243 0.0000
P 0.3757 0.3757 0.0000
Ru 0.4452 0.0000 0.0000
Ru 0.0000 0.4453 0.0000
Ru 0.5547 0.5547 0.0000
Ru 0.2856 0.0000 0.5000
Ru 0.0000 0.2856 0.5000
Ru 0.7144 0.7144 0.5000
Ru 0.6211 0.8058 0.0000
Ru 0.1942 0.8153 0.0000
Ru 0.1847 0.3789 0.0000
Ru 0.3789 0.1847 0.0000
Ru 0.8058 0.6211 0.0000
Ru 0.8153 0.1942 0.0000
Ru 0.5080 0.8761 0.5000
Ru 0.1239 0.6319 0.5000
Ru 0.3681 0.4920 0.5000
Ru 0.4920 0.3681 0.5000
Ru 0.8761 0.5080 0.5000
Ru 0.6319 0.1239 0.5000
Ru 0.0000 0.0000 0.0000
CELL_PARAMETERS angstrom
6.2891 -10.8930 0.0000
6.2890 10.8929 0.0000
0.0000 0.0000 4.0165

=====

! PrPS, relaxed, DFT meta-GGA r2SCAN; values from VASP
! ΔE_f   -1.782 eV per atom
! V   22.6 A^3/atom
! Final energy   -414.281 eV for the cell shown
! Space group   No. 62
&SYSTEM
  ibrav = 0, nat = 24, ntyp = 3
/
ATOMIC_SPECIES
Pr 140.91 Pr.upf
P 30.97 P.upf
S 32.06 S.upf
ATOMIC_POSITIONS crystal
Pr 0.2500 0.4829 0.3626
Pr 0.2500 0.9829 0.1374
Pr 0.7500 0.5171 0.6374
Pr 0.7500 0.0171 0.8626
Pr 0.2500 0.0171 0.6483
Pr 0.2500 0.5171 0.8517
Pr 0.7500 0.9829 0.3517
Pr 0.7500 0.4829 0.1483
P 0.0473 0.3080 0.9972
P 0.4527 0.8080 0.5028
P 0.5473 0.6920 0.0028
P 0.9527 0.1920 0.4972
P 0.9527 0.6920 0.0028
P 0.5473 0.1920 0.4972
P 0.4527 0.3080 0.9972
P 0.0473 0.8080 0.5028
S 0.2500 0.4845 0.1893
S 0.2500 0.9845 0.3107
S 0.7500 0.5155 0.8107
S 0.7500 0.0155 0.6893
S 0.2500 0.0127 0.8177
S 0.2500 0.5127 0.6823
S 0.7500 0.9873 0.1823
S 0.7500 0.4873 0.3177
CELL_PARAMETERS angstrom
-2.8205 3.1093 -3.6458
1.5379 -3.4782 -4.1562
-14.1367 -9.5682 2.7763

=====

! Pr2UP3, relaxed, DFT meta-GGA r2SCAN; values from VASP
! ΔE_f   -1.605 eV per atom
! V   25.2 A^3/atom
! Final energy   -175.386 eV for the cell shown
! Space group   No. 71
&SYSTEM
  ibrav = 0, nat = 6, ntyp = 3
/
ATOMIC_SPECIES
Pr 140.91 Pr.upf
U 238.03 U.upf
P 30.97 P.upf
ATOMIC_POSITIONS crystal
Pr 0.6669 0.6669 0.0000
Pr 0.3331 0.3331 0.0000
U 0.0000 0.0000 0.0000
P 0.5000 0.0000 0.5000
P 0.1580 0.6580 0.5000
P 0.8420 0.3420 0.5000
CELL_PARAMETERS angstrom
3.4631 1.7831 6.0663
3.9436 6.0275 0.2993
-6.4946 -2.9056 -1.1616

~~~~~

Version w
Computed, not measured: a geometry-optimized MgCr2O4 structure at the PBE+U level of DFT.

Theoretical density in g/cm3: 4.2
SG: P-4, No. 81
Spin magnetization in μB per formula unit: 6.0

Lattice parameters (Å, degrees): 3.006 5.027 5.027 90.00 90.00 90.00
Atoms (fractional coordinates):
O1 0.499 0.204 0.813
O2 0.499 0.796 0.187
O3 0.001 0.687 0.704
O4 0.001 0.313 0.296
Mg1 0.750 0.500 0.000
Cr1 0.483 0.500 0.500
Cr2 0.017 0.000 0.000

Version x
Computed, not measured: a geometry-optimized MgCr2O4 structure at the PBE+U level of DFT.

Theoretical density in g/cm3: 4.2
SG: P3m1, No. 156
Spin magnetization in μB per formula unit: 6.0
____________

**Result:**
! Pr5P12Ru19, relaxed, DFT meta-GGA r2SCAN; values from VASP